Ethics and Compliance— Policy or Program?
The U.S. Department of Justice (DOJ) has served notice to the securities and finance industry that it is no longer sufficient or acceptable to create nice-sounding compliance policies. Such policies must be part of active, robust, effective programs.
“A surprising number of companies,” says Leslie Caldwell, head of the DOJ’s Criminal Division, “still lack rigorous compliance programs. And even more companies have what appear to be good structures on paper, but fail in practice to devote adequate resources and management attention to compliance.”
The prosecutors in the DOJ’s Criminal Division will be asking the following questions and considering the answers as they assess corporate compliance programs.
**What comes next are data records, not part of the article:**
=====
# LiNiO
Theoretical powder X-ray diffraction pattern, CuKα. Input: a structure optimized by DFT (PBE+U).
Peak positions follow from Bragg's law for the DFT cell and can differ from measured ones.

Largest 12 diffraction maxima, by angle, 5 to 70 degrees two-theta:
2θ/deg	I (rel.)
18.1	100
31.2	9
35.1	38
36.6	19
36.7	17
39.8	38
41.2	35
51.6	10
52.8	25
55.3	37
65.0	19
68.0	11

Crystal structure
a b c (Å): 3.536 3.536 4.911
angles (deg): 90.00 90.00 92.49
Element x y z (fractional)
1 Li 0.250 0.250 0.000
2 Li 0.750 0.750 0.000
3 Ni 0.000 0.500 0.500
4 Ni 0.500 0.000 0.500
5 O 0.250 0.750 0.807
6 O 0.750 0.250 0.193
=====
- Does the institution ensure that its directors and senior managers provide strong, explicit, and visible support for its corporate compliance policies?
- Do the people who are responsible for compliance have stature within the company? Do compliance teams get adequate funding and access to necessary resources?
- Are the institution’s compliance policies clear and in writing? Are they easily understood by employees? Are the policies translated into languages spoken by the company’s employees?
- Does the institution ensure that its compliance policies are effectively communicated to all employees? Are its written policies easy for employees to find? Do employees have repeated training, which should include direction regarding what to do or with whom to consult when issues arise?
- Does the institution review its policies and practices to keep them up to date with evolving risks and circumstances, to include mergers and acquisitions?
- Are there mechanisms to enforce compliance policies? Those include both incentivizing good compliance and disciplining violations. Is discipline even-handed?
- Does the institution sensitize third parties like vendors, agents, or consultants to the company’s expectation that its partners are also serious about compliance? This means taking action – including termination of a business relationship – if a partner demonstrates a lack of respect for laws and policies.
Further, says Caldwell, in anti-money laundering and sanctions contexts, prosecutors will also ask:
These records of crystals were left in the text by mistake:
=====
Record 1
Structure and theoretical X-ray diffraction stick pattern of K2Zn2AsO6 (the GGA-PBE geometry in Alexandria; Cu Kα X-rays).
No peak broadening, texture or thermal motion is included.

Largest 10 diffraction maxima, sorted by position, 10° ≤ 2θ ≤ 90°:
- 2θ = 15.3°, d = 5.794 Å, intensity 365
- 2θ = 20.5°, d = 4.325 Å, intensity 147
- 2θ = 31.1°, d = 2.879 Å, intensity 914
- 2θ = 31.4°, d = 2.852 Å, intensity 1000
- 2θ = 34.8°, d = 2.578 Å, intensity 133
- 2θ = 44.7°, d = 2.026 Å, intensity 248
- 2θ = 55.3°, d = 1.662 Å, intensity 161
- 2θ = 55.5°, d = 1.657 Å, intensity 452
- 2θ = 64.8°, d = 1.439 Å, intensity 180
- 2θ = 73.7°, d = 1.285 Å, intensity 141

Structure:
abc: 5.7577 5.7577 17.3827
angles: 90.00 90.00 120.00
Space group R-3m (No. 166, hexagonal axes)
Unique sites:
K (0.0000, 0.0000, 0.2018) [6 per cell]
Zn (0.0000, 0.0000, 0.3846) [6 per cell]
As (0.0000, 0.0000, 0.0000) [3 per cell]
O (0.0394, 0.5197, 0.7330) [18 per cell]

---

Record 2
Structure and theoretical X-ray diffraction stick pattern of K7As4P (the GGA-PBE geometry in Alexandria; Cu Kα X-rays).
No peak broadening, texture or thermal motion is included.

Largest 10 diffraction maxima, sorted by position, 10° ≤ 2θ ≤ 90°:
- 2θ = 12.9°, d = 6.884 Å, intensity 277
- 2θ = 13.5°, d = 6.572 Å, intensity 320
- 2θ = 22.2°, d = 4.005 Å, intensity 224
- 2θ = 27.6°, d = 3.233 Å, intensity 262
- 2θ = 28.9°, d = 3.092 Å, intensity 1000
- 2θ = 32.5°, d = 2.758 Å, intensity 274
- 2θ = 33.4°, d = 2.684 Å, intensity 228
- 2θ = 34.0°, d = 2.633 Å, intensity 726
- 2θ = 34.1°, d = 2.626 Å, intensity 273
- 2θ = 34.7°, d = 2.582 Å, intensity 232

Structure:
abc: 10.503 9.115 8.426
angles: 90.00 90.00 90.00
Space group Pmn2_1 (No. 31)
Unique sites:
K (0.000, 0.019, 0.000) [2 per cell]
K (0.000, 0.335, 0.232) [2 per cell]
K (0.000, 0.858, 0.504) [2 per cell]
K (0.216, 0.164, 0.681) [4 per cell]
K (0.226, 0.522, 0.521) [4 per cell]
As (0.000, 0.419, 0.811) [2 per cell]
As (0.000, 0.685, 0.175) [2 per cell]
As (0.190, 0.795, 0.800) [4 per cell]
P (0.000, 0.669, 0.893) [2 per cell]

---

Record 3
Structure and theoretical X-ray diffraction stick pattern of KPaAs2Pt2 (the GGA-PBE geometry in Alexandria; Cu Kα X-rays).
No peak broadening, texture or thermal motion is included.

Largest 10 diffraction maxima, sorted by position, 10° ≤ 2θ ≤ 90°:
- 2θ = 26.0°, d = 3.431 Å, intensity 210
- 2θ = 31.2°, d = 2.868 Å, intensity 1000
- 2θ = 38.5°, d = 2.340 Å, intensity 337
- 2θ = 42.2°, d = 2.140 Å, intensity 531
- 2θ = 43.4°, d = 2.083 Å, intensity 205
- 2θ = 47.0°, d = 1.932 Å, intensity 176
- 2θ = 53.4°, d = 1.715 Å, intensity 222
- 2θ = 58.4°, d = 1.579 Å, intensity 104
- 2θ = 67.8°, d = 1.382 Å, intensity 134
- 2θ = 70.3°, d = 1.339 Å, intensity 196

Structure:
abc: 4.2809 4.2809 9.0511
angles: 90.00 90.00 120.00
Space group P-3m1 (No. 164)
Unique sites:
K (0.0000, 0.0000, 0.0000) [1 per cell]
Pa (0.0000, 0.0000, 0.5000) [1 per cell]
As (0.3333, 0.6667, 0.7342) [2 per cell]
=====
So much for the records of crystals:
- What does the institution’s “know your customer” policy look like?
- If a financial institution operates in the U.S., whether it is a U.S.-based bank or a U.S. branch or component of a foreign bank, is it complying with U.S. laws?
It seems clear that the DOJ and the SEC, in their FCPA and other investigations, are looking for effective actions, not just well written policies. A recent LAW360 analysis piece by attorney Matt Herrington summed up that conclusion nicely. Referring to a December 2014 Securities and Exchange Commission settlement with Bruker Corporation, Herrington said:
It was the lack of activity [even with no evidence of headquarters involvement or knowledge] that created the basis for the settlement—the failure to take any steps to ensure that a nifty set of policies which had been promulgated down to the subsidiary had actually been implemented. In other words, they had a policy, but no program.
Although Assistant Attorney General Caldwell was speaking about compliance programs, the conclusion holds just as true for ethics efforts. Ethics policies must be part of active, robust, effective ethics programs.
Ethical Advocate provides comprehensive ethics and compliance solutions, including ethics and compliance training and confidential and anonymous hotlines. Contact us for more information.
Herrington, Matt. “From Anti-Corruption Policy to Anti-Corruption Program,” LAW360 Corporate news page, November 6, 2015. http://www.law360.com/corporate
For more information on the Bruker Corporation settlement, see Peter Viksnins’ “After Bruker: How Much Compliance is Enough?” The FCPA Blog, February 18, 2015, http://www.fcpablog.com/blog/2015/2/18/after-bruker-how-much-compliance-is-enough.html
U.S. Department of Justice. “Assistant Attorney General Leslie R. Caldwell Speaks at SIFMA Compliance and Legal Society New York Regional Seminar,” copy of prepared remarks, November 2, 2015. http://www.justice.gov/opa/speech/assistant-attorney-general-leslie-r-caldwell-speaks-sifma-compliance-and-legal-society